### Input
/*
Record 1
Lu2ZrPt PBE-GGA relaxed; ΔE_f = -0.632 eV per atom; total DFT energy (no corrections) = -6.540 eV per atom; calculated volume = 22.921 Å³ per atom
1.0
-2.849 1.536 1.165
-1.515 -0.500 -3.048
-2.683 -6.841 2.455
Zr Lu Pt
1 2 1
Direct
0.500 0.500 0.500 Zr
0.000 0.000 0.786 Lu
0.000 0.000 0.214 Lu
0.500 0.500 0.000 Pt

---

Record 2
La3Tm7 PBE-GGA relaxed; ΔE_f = 0.039 eV per atom; total DFT energy (no corrections) = -4.569 eV per atom; calculated volume = 32.209 Å³ per atom
1.0
-3.733 -2.516 2.331
-2.548 -2.075 -6.320
7.656 -5.494 0.819
Tm La
7 3
Direct
0.401 0.699 0.802 Tm
0.400 0.197 0.799 Tm
0.600 0.803 0.201 Tm
0.000 0.500 0.000 Tm
0.800 0.899 0.600 Tm
0.599 0.301 0.198 Tm
0.200 0.101 0.400 Tm
0.803 0.397 0.605 La
0.197 0.603 0.395 La
0.000 0.000 0.000 La

---

Record 3
BaGaCo PBE-GGA relaxed; ΔE_f = -0.014 eV per atom; total DFT energy (no corrections) = -4.033 eV per atom; calculated volume = 25.164 Å³ per atom
1.0
4.937 0.000 0.000
0.000 4.202 0.000
0.000 -2.101 3.639
Co Ga Ba
1 1 1
Direct
0.167 0.667 0.333 Co
0.167 0.000 0.000 Ga
0.666 0.333 0.667 Ba

---

Record 4
ThAgPb PBE-GGA relaxed; ΔE_f = -0.174 eV per atom; total DFT energy (no corrections) = -4.834 eV per atom; calculated volume = 26.567 Å³ per atom
1.0
-3.340 -2.817 -2.246
0.957 -6.137 0.890
-5.499 -0.177 3.017
Ag Pb Th
2 2 2
Direct
0.465 0.240 0.933 Ag
0.465 0.933 0.240 Ag
0.990 0.741 0.384 Pb
0.990 0.384 0.741 Pb
0.734 0.318 0.318 Th
0.233 0.819 0.819 Th

---

Record 5
Cr2CuSb2 PBE-GGA relaxed; formation energy without anion corrections = 0.414 eV per atom; excess energy over the best structure of this formula in the dataset = 0.0 kJ/mol of atoms; total DFT energy (no corrections) = -5.903 eV per atom; calculated volume = 17.938 Å³ per atom
1.0
7.420 0.000 0.000
0.000 7.420 0.000
0.000 0.000 3.258
Sb Cr Cu
4 4 2
Direct
0.161 0.339 0.000 Sb
0.661 0.161 0.000 Sb
0.839 0.661 0.000 Sb
0.339 0.839 0.000 Sb
0.136 0.636 0.500 Cr
0.364 0.136 0.500 Cr
0.864 0.364 0.500 Cr
0.636 0.864 0.500 Cr
0.500 0.500 0.000 Cu
0.000 0.000 0.000 Cu

---

Record 6
CdBr5 PBE-GGA relaxed; formation energy without anion corrections = -0.226 eV per atom; excess energy over the best structure of this formula in the dataset = 4.1 kJ/mol of atoms; total DFT energy (no corrections) = -1.773 eV per atom; calculated volume = 36.187 Å³ per atom
1.0
-3.661 3.343 -4.694
1.274 -5.964 3.070
-5.915 1.753 5.861
Br Cd
5 1
Direct
0.327 0.673 0.000 Br
0.757 0.243 0.500 Br
0.993 0.007 0.000 Br
0.478 0.522 0.500 Br
0.661 0.339 0.000 Br
0.118 0.882 0.500 Cd

---

Record 7
YNi2AsPb PBE-GGA relaxed; ΔE_f = -0.056 eV per atom; total DFT energy (no corrections) = -5.333 eV per atom; calculated volume = 22.754 Å³ per atom
1.0
4.606 0.000 0.000
0.000 5.363 0.000
0.000 0.000 4.606
Ni Y Pb As
2 1 1 1
Direct
0.000 0.000 0.500 Ni
0.500 0.000 0.000 Ni
0.000 0.500 0.000 Y
0.500 0.500 0.500 Pb
0.000 0.000 0.000 As

---

Record 8
MgCrBiCl2 PBE-GGA relaxed; formation energy without anion corrections = -0.231 eV per atom; total DFT energy (no corrections) = -3.989 eV per atom; calculated volume = 36.412 Å³ per atom
1.0
4.550 0.000 0.000
0.000 8.796 0.000
0.000 0.000 4.550
Mg Cr Cl Bi
1 1 2 1
Direct
0.000 0.000 0.000 Mg
0.000 0.500 0.000 Cr
0.500 0.000 0.000 Cl
0.000 0.000 0.500 Cl
0.500 0.500 0.500 Bi

---

Record 9
Dy2Y2Er5 PBE-GGA relaxed; excess energy over the best structure of this formula in the dataset = 0.0 kJ/mol of atoms; ΔE_f = 0.121 eV per atom; total DFT energy (no corrections) = -4.873 eV per atom; calculated volume = 31.473 Å³ per atom
1.0
5.481 0.000 1.666
1.326 6.535 5.486
0.203 1.551 9.177
Er Y Dy
5 2 2
Direct
0.791 0.347 0.071 Er
0.680 0.997 0.642 Er
0.209 0.653 0.929 Er
0.320 0.003 0.358 Er
0.000 0.000 0.000 Er
0.562 0.665 0.211 Y
0.438 0.335 0.789 Y
0.899 0.690 0.513 Dy
0.101 0.310 0.487 Dy

---

Record 10
*/
### Wanted
Next, type out the part of the lines above that starts with the line with "0.214 Lu" and stops after the one with "YNi2AsPb PBE-GGA".
### Written answer
0.000 0.000 0.214 Lu
0.500 0.500 0.000 Pt

---

Record 2
La3Tm7 PBE-GGA relaxed; ΔE_f = 0.039 eV per atom; total DFT energy (no corrections) = -4.569 eV per atom; calculated volume = 32.209 Å³ per atom
1.0
-3.733 -2.516 2.331
-2.548 -2.075 -6.320
7.656 -5.494 0.819
Tm La
7 3
Direct
0.401 0.699 0.802 Tm
0.400 0.197 0.799 Tm
0.600 0.803 0.201 Tm
0.000 0.500 0.000 Tm
0.800 0.899 0.600 Tm
0.599 0.301 0.198 Tm
0.200 0.101 0.400 Tm
0.803 0.397 0.605 La
0.197 0.603 0.395 La
0.000 0.000 0.000 La

---

Record 3
BaGaCo PBE-GGA relaxed; ΔE_f = -0.014 eV per atom; total DFT energy (no corrections) = -4.033 eV per atom; calculated volume = 25.164 Å³ per atom
1.0
4.937 0.000 0.000
0.000 4.202 0.000
0.000 -2.101 3.639
Co Ga Ba
1 1 1
Direct
0.167 0.667 0.333 Co
0.167 0.000 0.000 Ga
0.666 0.333 0.667 Ba

---

Record 4
ThAgPb PBE-GGA relaxed; ΔE_f = -0.174 eV per atom; total DFT energy (no corrections) = -4.834 eV per atom; calculated volume = 26.567 Å³ per atom
1.0
-3.340 -2.817 -2.246
0.957 -6.137 0.890
-5.499 -0.177 3.017
Ag Pb Th
2 2 2
Direct
0.465 0.240 0.933 Ag
0.465 0.933 0.240 Ag
0.990 0.741 0.384 Pb
0.990 0.384 0.741 Pb
0.734 0.318 0.318 Th
0.233 0.819 0.819 Th

---

Record 5
Cr2CuSb2 PBE-GGA relaxed; formation energy without anion corrections = 0.414 eV per atom; excess energy over the best structure of this formula in the dataset = 0.0 kJ/mol of atoms; total DFT energy (no corrections) = -5.903 eV per atom; calculated volume = 17.938 Å³ per atom
1.0
7.420 0.000 0.000
0.000 7.420 0.000
0.000 0.000 3.258
Sb Cr Cu
4 4 2
Direct
0.161 0.339 0.000 Sb
0.661 0.161 0.000 Sb
0.839 0.661 0.000 Sb
0.339 0.839 0.000 Sb
0.136 0.636 0.500 Cr
0.364 0.136 0.500 Cr
0.864 0.364 0.500 Cr
0.636 0.864 0.500 Cr
0.500 0.500 0.000 Cu
0.000 0.000 0.000 Cu

---

Record 6
CdBr5 PBE-GGA relaxed; formation energy without anion corrections = -0.226 eV per atom; excess energy over the best structure of this formula in the dataset = 4.1 kJ/mol of atoms; total DFT energy (no corrections) = -1.773 eV per atom; calculated volume = 36.187 Å³ per atom
1.0
-3.661 3.343 -4.694
1.274 -5.964 3.070
-5.915 1.753 5.861
Br Cd
5 1
Direct
0.327 0.673 0.000 Br
0.757 0.243 0.500 Br
0.993 0.007 0.000 Br
0.478 0.522 0.500 Br
0.661 0.339 0.000 Br
0.118 0.882 0.500 Cd

---

Record 7
YNi2AsPb PBE-GGA relaxed; ΔE_f = -0.056 eV per atom; total DFT energy (no corrections) = -5.333 eV per atom; calculated volume = 22.754 Å³ per atom